********
Compound: NdSi2
Source: the Materials Project database
Functional: GGA-PBE
Structure: relaxed

Summary:
For the formation energy from the elements, the calculation gives -0.56 eV/atom. Its space group is I4_1/amd, No. 141.

extended XYZ file:
```
6
Lattice="-2.090 2.090 7.107 2.090 -2.090 7.107 2.090 2.090 -7.107" Properties=species:S:1:pos:R:3 pbc="T T T"
Nd 2.090 1.045 1.777
Nd 0.000 1.045 5.330
Si 2.090 -1.045 4.140
Si 2.090 -1.045 6.521
Si 0.000 3.135 0.586
Si 0.000 3.135 2.967
```

---

Compound: Nd4Si5
Source: the Materials Project database
Functional: GGA-PBE
Structure: relaxed

Summary:
For the formation energy from the elements, the calculation gives -0.64 eV/atom. Its space group is Amm2, No. 38.

extended XYZ file:
```
9
Lattice="3.948 0.000 0.000 0.000 2.155 12.498 0.000 -2.155 12.498" Properties=species:S:1:pos:R:3 pbc="T T T"
Nd 0.000 0.000 0.000
Nd 0.000 0.000 6.779
Nd 1.974 0.000 3.273
Nd 1.974 0.000 10.081
Si 0.000 0.000 14.701
Si 0.000 0.000 17.057
Si 0.000 0.000 21.785
Si 1.974 0.000 13.253
Si 1.974 0.000 20.312
```

---

Compound: Nd5Si4
Source: the Materials Project database
Functional: GGA-PBE
Structure: relaxed

Summary:
The energy above the most stable polymorph in this dataset is 10 meV per atom. For the formation energy from the elements, the calculation gives -0.64 eV/atom. Its space group is Pnma, No. 62.

extended XYZ file:
```
36
Lattice="7.778 0.000 0.000 0.000 15.187 0.000 0.000 0.000 7.972" Properties=species:S:1:pos:R:3 pbc="T T T"
Nd 0.296 1.526 1.488
Nd 0.296 6.068 1.488
Nd 1.085 11.391 4.091
Nd 1.468 1.852 5.431
Nd 1.468 5.741 5.431
Nd 2.421 9.446 1.445
Nd 2.421 13.335 1.445
Nd 2.804 3.797 0.105
Nd 3.593 9.120 5.474
Nd 3.593 13.662 5.474
Nd 4.185 1.526 2.498
Nd 4.185 6.068 2.498
Nd 4.974 11.391 7.866
Nd 5.357 1.852 6.527
Nd 5.357 5.741 6.527
Nd 6.310 9.446 2.541
Nd 6.310 13.335 2.541
Nd 6.693 3.797 3.881
Nd 7.482 9.120 6.484
Nd 7.482 13.662 6.484
Si 0.140 11.391 0.790
Si 1.049 8.211 3.785
Si 1.049 14.570 3.785
Si 1.946 3.797 3.028
Si 1.943 11.391 7.014
Si 2.840 0.618 7.771
Si 2.840 6.976 7.771
Si 3.749 3.797 4.775
Si 4.029 11.391 3.196
Si 4.938 8.211 0.201
Si 4.938 14.570 0.201
Si 5.835 3.797 0.958
Si 5.832 11.391 4.944
Si 6.729 0.618 4.187
Si 6.729 6.976 4.187
Si 7.638 3.797 7.182
```

---

Compound: Nd3Si
Source: the Materials Project database
Functional: GGA-PBE
Structure: relaxed

Summary:
For the formation energy from the elements, the calculation gives -0.22 eV/atom. Its space group is P6_3/mmc, No. 194. The spin magnetization comes out at 0.00 μB per formula unit.

extended XYZ file:
```
8
Lattice="7.043 0.000 0.000 -3.522 6.100 0.000 0.000 0.000 5.116" Properties=species:S:1:pos:R:3 pbc="T T T"
Nd 0.000 2.200 1.279
Nd -1.616 5.000 1.279
Nd 1.905 1.100 3.837
Nd 1.616 5.000 1.279
Nd 5.138 1.100 3.837
Nd 3.522 3.900 3.837
Si 0.000 4.066 3.837
Si 3.522 2.033 1.279
```

---

Compound: Nd5Si4
Source: the Materials Project database
Functional: GGA-PBE
Structure: relaxed

Summary:
The energy above the most stable polymorph in this dataset is 0 meV per atom. For the formation energy from the elements, the calculation gives -0.65 eV/atom. Its space group is P4_12_12, No. 92.

extended XYZ file:
```
36
Lattice="7.894 0.000 0.000 0.000 7.894 0.000 0.000 0.000 15.137" Properties=species:S:1:pos:R:3 pbc="T T T"
Nd 0.090 2.978 0.784
Nd 0.148 6.890 1.878
Nd 0.969 4.037 4.568
Nd 1.004 7.746 5.691
Nd 1.511 6.383 11.353
Nd 2.436 2.436 7.569
Nd 2.943 3.799 13.231
Nd 2.978 0.090 14.353
Nd 3.799 2.943 1.907
Nd 3.857 6.925 3.000
Nd 4.037 0.969 10.569
Nd 4.095 4.952 9.476
Nd 4.916 7.804 6.785
Nd 4.952 4.095 5.662
Nd 5.458 5.458 0.000
Nd 6.383 1.511 3.784
Nd 6.890 0.148 13.260
Nd 6.925 3.857 12.137
Nd 7.746 1.004 9.446
Nd 7.804 4.916 8.353
Si 0.611 5.622 14.233
Si 1.338 1.534 12.091
Si 1.534 1.338 3.046
Si 1.675 3.336 10.449
Si 2.272 7.283 8.473
Si 2.413 5.285 0.738
Si 2.610 5.481 6.831
Si 3.336 1.675 4.688
Si 4.558 6.219 12.257
Si 5.285 2.413 14.399
Si 5.481 2.610 8.307
Si 5.622 0.611 0.904
********

Your job: give back the whole of the material earlier on exactly.

Compound: NdSi2
Source: the Materials Project database
Functional: GGA-PBE
Structure: relaxed

Summary:
For the formation energy from the elements, the calculation gives -0.56 eV/atom. Its space group is I4_1/amd, No. 141.

extended XYZ file:
```
6
Lattice="-2.090 2.090 7.107 2.090 -2.090 7.107 2.090 2.090 -7.107" Properties=species:S:1:pos:R:3 pbc="T T T"
Nd 2.090 1.045 1.777
Nd 0.000 1.045 5.330
Si 2.090 -1.045 4.140
Si 2.090 -1.045 6.521
Si 0.000 3.135 0.586
Si 0.000 3.135 2.967
```

---

Compound: Nd4Si5
Source: the Materials Project database
Functional: GGA-PBE
Structure: relaxed

Summary:
For the formation energy from the elements, the calculation gives -0.64 eV/atom. Its space group is Amm2, No. 38.

extended XYZ file:
```
9
Lattice="3.948 0.000 0.000 0.000 2.155 12.498 0.000 -2.155 12.498" Properties=species:S:1:pos:R:3 pbc="T T T"
Nd 0.000 0.000 0.000
Nd 0.000 0.000 6.779
Nd 1.974 0.000 3.273
Nd 1.974 0.000 10.081
Si 0.000 0.000 14.701
Si 0.000 0.000 17.057
Si 0.000 0.000 21.785
Si 1.974 0.000 13.253
Si 1.974 0.000 20.312
```

---

Compound: Nd5Si4
Source: the Materials Project database
Functional: GGA-PBE
Structure: relaxed

Summary:
The energy above the most stable polymorph in this dataset is 10 meV per atom. For the formation energy from the elements, the calculation gives -0.64 eV/atom. Its space group is Pnma, No. 62.

extended XYZ file:
```
36
Lattice="7.778 0.000 0.000 0.000 15.187 0.000 0.000 0.000 7.972" Properties=species:S:1:pos:R:3 pbc="T T T"
Nd 0.296 1.526 1.488
Nd 0.296 6.068 1.488
Nd 1.085 11.391 4.091
Nd 1.468 1.852 5.431
Nd 1.468 5.741 5.431
Nd 2.421 9.446 1.445
Nd 2.421 13.335 1.445
Nd 2.804 3.797 0.105
Nd 3.593 9.120 5.474
Nd 3.593 13.662 5.474
Nd 4.185 1.526 2.498
Nd 4.185 6.068 2.498
Nd 4.974 11.391 7.866
Nd 5.357 1.852 6.527
Nd 5.357 5.741 6.527
Nd 6.310 9.446 2.541
Nd 6.310 13.335 2.541
Nd 6.693 3.797 3.881
Nd 7.482 9.120 6.484
Nd 7.482 13.662 6.484
Si 0.140 11.391 0.790
Si 1.049 8.211 3.785
Si 1.049 14.570 3.785
Si 1.946 3.797 3.028
Si 1.943 11.391 7.014
Si 2.840 0.618 7.771
Si 2.840 6.976 7.771
Si 3.749 3.797 4.775
Si 4.029 11.391 3.196
Si 4.938 8.211 0.201
Si 4.938 14.570 0.201
Si 5.835 3.797 0.958
Si 5.832 11.391 4.944
Si 6.729 0.618 4.187
Si 6.729 6.976 4.187
Si 7.638 3.797 7.182
```

---

Compound: Nd3Si
Source: the Materials Project database
Functional: GGA-PBE
Structure: relaxed

Summary:
For the formation energy from the elements, the calculation gives -0.22 eV/atom. Its space group is P6_3/mmc, No. 194. The spin magnetization comes out at 0.00 μB per formula unit.

extended XYZ file:
```
8
Lattice="7.043 0.000 0.000 -3.522 6.100 0.000 0.000 0.000 5.116" Properties=species:S:1:pos:R:3 pbc="T T T"
Nd 0.000 2.200 1.279
Nd -1.616 5.000 1.279
Nd 1.905 1.100 3.837
Nd 1.616 5.000 1.279
Nd 5.138 1.100 3.837
Nd 3.522 3.900 3.837
Si 0.000 4.066 3.837
Si 3.522 2.033 1.279
```

---

Compound: Nd5Si4
Source: the Materials Project database
Functional: GGA-PBE
Structure: relaxed

Summary:
The energy above the most stable polymorph in this dataset is 0 meV per atom. For the formation energy from the elements, the calculation gives -0.65 eV/atom. Its space group is P4_12_12, No. 92.

extended XYZ file:
```
36
Lattice="7.894 0.000 0.000 0.000 7.894 0.000 0.000 0.000 15.137" Properties=species:S:1:pos:R:3 pbc="T T T"
Nd 0.090 2.978 0.784
Nd 0.148 6.890 1.878
Nd 0.969 4.037 4.568
Nd 1.004 7.746 5.691
Nd 1.511 6.383 11.353
Nd 2.436 2.436 7.569
Nd 2.943 3.799 13.231
Nd 2.978 0.090 14.353
Nd 3.799 2.943 1.907
Nd 3.857 6.925 3.000
Nd 4.037 0.969 10.569
Nd 4.095 4.952 9.476
Nd 4.916 7.804 6.785
Nd 4.952 4.095 5.662
Nd 5.458 5.458 0.000
Nd 6.383 1.511 3.784
Nd 6.890 0.148 13.260
Nd 6.925 3.857 12.137
Nd 7.746 1.004 9.446
Nd 7.804 4.916 8.353
Si 0.611 5.622 14.233
Si 1.338 1.534 12.091
Si 1.534 1.338 3.046
Si 1.675 3.336 10.449
Si 2.272 7.283 8.473
Si 2.413 5.285 0.738
Si 2.610 5.481 6.831
Si 3.336 1.675 4.688
Si 4.558 6.219 12.257
Si 5.285 2.413 14.399
Si 5.481 2.610 8.307
Si 5.622 0.611 0.904